When we think about cities of the future, we think about edgy architecture and technological breakthroughs. But what we should be thinking about is how to plan for a Melbourne that seems likely to be four degrees warmer by 2080. Unfortunately, Victoria - along with Brisbane and New South Wales - has weakened controls on planning for climate change, even in the face of recent fires and floods.
‘If we don’t prepare well, people will die,’ writes Michael Green in this sobering report. ‘At the moment, we are not planning well.’
The sky was black on February 4, 2011, and by late afternoon, Melbourne was teeming with rain. Over the clatter of the storm, John Richardson noticed the wail of car alarms and sirens.
Richardson – who leads Red Cross’s disaster preparedness program – had only just returned from Brisbane, where he’d been doing recovery work in the aftermath of the devastating floods. He had returned to his home in Elwood so he could drop off his daughters that morning, the first day of school.
At 7.30pm, Richardson and his family walked into their street, which runs parallel to the Elwood Canal, and saw water rising toward them, up the road. They learned from a neighbour that high tide was due at 2am, and that more thunderstorms were predicted before then.
They decided to evacuate. Richardson asked his daughters what they wanted to take: his older daughter chose a blanket she’d had since she was a baby, the younger one picked her skateboard and a giant teddy bear. As they were leaving, she burst into tears and asked, ‘Are we going to see our house again?’
Four degrees hotter by 2080
Forget driverless electric vehicles, forget telecommuting from arty cafes, forget idyllic renderings by landscape architects. Forget vertical gardens.
In 2080, Melbourne’s future is in Leeton, western New South Wales.
Leeton is 550 kilometres west of Sydney, and the climate there is hot and dry – it’s about four degrees hotter than Melbourne on average, and it receives a third less rain.
This is CSIRO’s ‘analogue township model’: a way for people to understand immediately how our climate could change. But the analogy only goes so far. Lower rainfall and hotter days are just the unpleasant backdrops for the biggest risks we face: droughts, heat waves and bushfires; floods, storm surges and rising tides.
Last December, the state Commissioner for Environmental Sustainability, Professor Kate Auty, issued her Climate Change Foundation Paper, in preparation for the State of the Environment Report, to be released this year.
# Someone pasted data records at this point
Molecular formula: C29H26F3NO6PPdS2Sb
Method: DFT, the ωB97M-V functional and the def2-TZVPD basis

Computed properties:
- Relative energy (zero: lowest compared OMol25 entry of this formula, charge and spin): 14.1 kJ/mol
- Orbital gap (spin up / spin down): 6.843 / 7.159 eV
- Net charge: -1
- Lowest unoccupied orbital energy (spin up / spin down): 2.24 / 2.24 eV
- 2S+1: 2

```
70
Properties=species:S:1:pos:R:3:forces:R:3
Pd 0.1042 -0.1582 -0.9595 0.213 0.116 -0.272
O -0.8502 -1.7661 -2.1827 -0.022 0.046 0.018
C -1.4385 -1.5734 -3.2421 -0.079 -0.047 0.048
C -1.9244 -0.3453 -3.8201 -0.004 0.001 -0.054
C -2.5334 -0.4824 -5.0717 0.014 0.055 0.040
C -3.0469 0.6010 -5.7414 0.021 -0.025 0.078
C -2.9723 1.8921 -5.1721 0.012 -0.020 0.043
C -2.3956 2.0570 -3.9552 -0.075 0.066 -0.093
C -1.8394 0.9612 -3.1965 0.085 0.080 0.132
O -1.3315 1.2022 -2.0751 -0.083 -0.147 0.007
N -3.6672 0.4194 -7.0262 0.026 -0.068 -0.151
O -4.1083 1.4055 -7.6012 -0.014 0.013 0.040
O -3.7228 -0.7089 -7.4984 -0.016 0.032 0.043
H -1.6572 -2.4622 -3.8620 0.029 0.002 -0.001
H -2.6030 -1.4609 -5.5290 -0.002 -0.006 -0.007
H -3.3815 2.7292 -5.7193 0.000 -0.001 -0.006
H -2.3297 3.0341 -3.4944 0.002 0.002 -0.006
C 5.9835 0.3578 -0.3862 0.040 -0.015 -0.029
C 4.7933 1.1452 0.1090 -0.059 0.044 0.037
O 4.1059 1.7490 -0.9972 0.044 0.056 -0.018
P 2.6467 1.1817 -1.3822 -0.009 -0.086 0.028
S 1.3533 1.6933 0.0674 0.045 -0.036 0.006
S 2.7030 -0.7488 -1.7772 -0.128 0.054 0.116
O 2.4019 2.0175 -2.7204 -0.007 -0.015 0.031
C 1.5160 3.1444 -2.8124 -0.020 -0.007 -0.027
C 2.1740 4.4101 -2.3093 0.008 0.012 0.006
H 6.5323 -0.0629 0.4594 -0.001 -0.005 0.000
H 6.6582 1.0001 -0.9543 -0.004 0.002 0.004
H 5.6495 -0.4559 -1.0293 -0.008 -0.001 0.009
H 5.0975 1.9630 0.7655 0.003 -0.011 -0.003
H 4.1051 0.5049 0.6673 0.011 -0.008 -0.008
H 0.5972 2.9258 -2.2660 0.012 -0.014 0.002
H 1.2787 3.2185 -3.8741 -0.009 0.004 0.005
H 2.3962 4.3265 -1.2454 0.000 -0.008 0.009
H 1.5003 5.2578 -2.4545 0.003 -0.004 -0.003
H 3.1031 4.6049 -2.8468 -0.004 -0.008 -0.001
F -0.3655 3.7978 5.2907 -0.001 0.005 0.000
C -0.6428 2.7669 4.4579 -0.001 -0.018 -0.002
C -0.6965 1.4907 4.9818 0.004 0.030 -0.002
C -0.9796 0.4379 4.1226 -0.013 -0.034 -0.020
C -1.2050 0.6557 2.7647 0.058 0.091 0.086
C -1.1461 1.9618 2.2819 -0.020 -0.004 -0.063
C -0.8612 3.0296 3.1221 0.007 -0.003 0.031
Sb -1.6394 -0.9101 1.3791 -0.125 -0.172 -0.068
C 0.3078 -1.8090 1.3392 0.018 0.022 -0.023
C 1.4006 -1.2800 2.0244 0.002 -0.007 0.036
C 2.6461 -1.8851 1.9562 -0.008 -0.025 -0.013
C 2.7829 -3.0233 1.1872 -0.012 0.011 -0.001
F 3.9974 -3.6130 1.1129 0.002 -0.004 -0.002
C 1.7321 -3.5750 0.4856 0.025 0.003 0.021
C 0.4940 -2.9529 0.5617 0.009 -0.012 0.014
C -2.3928 -2.2744 2.8969 0.044 0.078 -0.029
C -1.5899 -3.1708 3.5963 0.043 -0.025 0.005
C -2.1199 -4.0084 4.5709 -0.025 -0.001 0.010
C -3.4717 -3.9334 4.8358 0.005 0.022 -0.024
F -3.9985 -4.7432 5.7851 -0.001 -0.005 0.003
C -4.3082 -3.0651 4.1641 0.028 -0.028 0.017
C -3.7541 -2.2434 3.1912 -0.046 0.012 0.012
# Back to the piece
Here are a few points: global emissions are tracking higher than the worst-case scenario in the last IPCC report; each decade since the 1950s has been warmer than the last; and disaster relief and recovery cost Victorians nearly five times as much between 2009 and 2012 than it did a decade earlier.
‘In Australia we are vulnerable,’ Auty concluded. ‘In Victoria our seaboard, our biodiversity, our infrastructure are all at risk. Native species and agricultural production are both exposed. The risk of extreme events is elevated.’
‘Impacts cascade and compound … To read them is to be deeply concerned.’
‘If we don’t prepare well, people will die’
An intense storm can cut off communications, release sewage, and damage roads and houses. And in turn, it can send businesses broke, and render people sick and stuck at home. During heat waves, we can lose power – and therefore, air conditioning, refrigeration and phones – and that causes food spoilage, heat stroke and premature deaths.
‘We are not managing the impacts of current weather now, let alone being prepared for what climate change might bring,’ she says.
The paper notes that if ‘the Eureka Tower in Melbourne lasts as long as the Royal Exhibition Building (1880) has already, it will have to deal with the climate of the year 2144’.
Planning for a city’s future involves many interconnected things: our food, water, power, waste and transport, our offices, homes, parks and gardens. Most broadly, it considers health and equity – the distribution of our ghettos and our Grollos.
It is not possible anymore to consider these things – to consider the present or future – without considering climate change. If we don’t prepare well, people will die. At the moment, we are not preparing well.
Victoria: going backwards on climate change planning
The Victorian government last year scrapped a requirement to plan for 0.8 metres sea level rise by the end of the century (except for new ‘greenfields’ developments). The Minister for Planning, Matthew Guy, described his measure as ‘based on common sense’.
The previous government’s ‘extreme controls’ had ‘locked many towns out of being able to grow sensibly,’ he said.
Professor Barbara Norman, chair of urban and regional planning at University of Canberra, says all three eastern states have weakened their controls on planning for climate change.
‘If you have flexibility in policy and flexibility in process then you really don’t have planning at all,’ she says. ‘In the context of climate change, it means you open the door too widely for development on land that could be subject to environmental risks: to coastal inundation, extreme fire risk and floods.’
One of the biggest risks, Norman says, is a ‘coincidence of events’. In this year’s Brisbane flood, rising rivers combined with a king tide to create a disastrous inundation.
‘We are not managing the impacts of current weather now, let alone being prepared for what climate change might bring,’ she says.
‘We need better discussions between scientists, planners and the emergency services to analyse those scenarios. What could be the consequences? What does that mean for planning today, and the next five years?’
**Molecular data, as found in the file**
[1]
This record from the OMol25 dataset describes 2 unconnected molecules or ions with the total composition C5H11NO at a distorted geometry. The level of theory is the ωB97M-V functional and the def2-TZVPD basis.

Its charge is 0. Its total energy is -327.0415 Ha. The relative energy (zero: lowest compared OMol25 entry of this formula, charge and spin) comes out at 235.83 kJ/mol. As for the LUMO energy: 0.86 eV. The SMILES is C=CC(=C)NC.O. Its spin multiplicity is 1.

Element x y z (Å)
C 2.30 -1.22 0.86
C 1.60 -0.99 -0.23
C 0.58 0.08 -0.40
C 0.92 1.36 -0.25
N -0.65 -0.40 -0.83
C -1.64 0.43 -1.51
H 2.15 -0.63 1.76
H 3.00 -2.04 1.03
H 1.94 -1.35 -1.21
H 0.17 2.15 -0.21
H 1.94 1.67 -0.12
H -0.64 -1.38 -1.06
H -1.62 0.26 -2.58
H -2.60 0.17 -1.11
H -1.47 1.48 -1.31
O -2.04 0.50 2.09
H -2.83 -0.04 1.98
H -1.63 0.58 1.23

***

[2]
This record from the OMol25 dataset describes a molecular structure, C20H33IKN11S at a distorted geometry. The level of theory is the ωB97M-V functional and the def2-TZVPD basis.

Its charge is 0. Its total energy is -2680.0048 Ha. The relative energy (zero: lowest compared OMol25 entry of this formula, charge and spin) comes out at 134.00 kJ/mol. As for the LUMO energy: 0.24 eV. Its spin multiplicity is 1.

Element x y z (Å)
K -9.95 8.17 9.56
N -7.73 6.19 8.97
C -8.23 5.26 7.94
C -8.56 6.05 6.66
N -9.83 6.77 6.85
C -10.67 6.70 5.64
C -11.62 5.57 5.88
N -12.47 5.73 7.09
H -7.43 5.75 9.84
H -6.83 6.47 8.69
H -7.55 4.38 7.86
H -9.21 4.83 8.36
H -7.84 6.72 6.21
H -8.78 5.29 5.87
H -9.60 7.78 7.03
H -11.22 7.65 5.57
H -10.11 6.67 4.71
H -12.30 5.46 5.04
H -11.10 4.59 6.00
H -11.75 5.72 7.83
H -12.79 6.68 7.17
C -11.77 12.65 10.49
C -11.03 11.31 10.61
N -10.47 10.72 9.62
N -10.80 11.30 8.43
C -10.02 10.91 7.41
N -10.48 11.34 6.18
S -8.50 9.94 7.54
C -10.79 10.65 11.89
C -10.57 11.39 13.06
C -10.43 10.80 14.29
C -10.46 9.39 14.30
C -10.50 8.68 13.12
N -10.63 9.34 11.93
H -12.38 12.74 9.59
H -12.38 12.85 11.33
H -11.00 13.42 10.26
H -11.24 11.98 6.17
H -9.88 11.30 5.39
H -10.32 12.45 12.88
H -10.30 11.39 15.21
H -10.27 8.84 15.22
H -10.49 7.58 13.08
I -10.62 1.94 11.67
C -10.79 3.92 11.10
C -11.45 4.38 10.00
N -11.68 5.66 10.22
N -11.13 6.12 11.35
C -10.61 5.06 11.95
H -11.88 3.84 9.14
H -12.07 6.34 9.57
H -10.20 5.18 12.88
C -14.69 10.33 11.87
C -14.08 9.89 10.57
C -14.20 10.26 9.27
C -13.39 9.31 8.52
N -12.88 8.46 9.41
N -13.36 8.74 10.65
C -12.95 9.30 7.13
H -15.12 9.51 12.43
H -15.50 11.05 11.82
H -13.96 10.74 12.52
H -14.83 11.04 8.87
H -12.95 8.22 11.46
H -13.69 9.65 6.47
H -12.63 8.33 6.88
H -12.10 10.01 7.05

***

[3]
This record from the OMol25 dataset describes a molecular structure, C24H24N3O6 at a distorted geometry. The level of theory is the ωB97M-V functional and the def2-TZVPD basis.

Its charge is -1. Its total energy is -1544.6093 Ha. The relative energy (zero: lowest compared OMol25 entry of this formula, charge and spin) comes out at 463.10 kJ/mol. As for the LUMO energy: 2.72 eV. Its spin multiplicity is 1.
**The molecular data stop here**
‘There is no certainty that adaptation to a 4°C world is possible'
Within the next two weeks, the Victorian government will table its climate adaptation plan in parliament. If its update on climate science – released in March 2012 – is any guide, we shouldn’t expect much. That document devoted only two-and-a-half pages to climate modelling and to the state’s future climate, and drew largely on the Intergovernmental Panel on Climate Change’s now outdated 2007 report.
A more up-to-date appraisal would have looked like the World Bank’s report from late last year, called Turn down the heat, which combined a review of recent climate science with analysis of the likely risks and impacts.
It stated that even if all nations fulfil their pledges to reduce emissions, we’re still on track for 3.5 to 4°C warming by the end of the century. ‘The longer those pledges go unmet, the more likely a 4ËšC world becomes’, it said.
And exactly what does a 4°C world mean? ‘Extreme heat waves, declining global food stocks, loss of ecosystems and biodiversity, and life-threatening sea level rise.’ All of which adds up to this: ‘there is no certainty that adaptation to a 4°C world is possible’.
For citizens and governments alike, mitigating global warming – reducing carbon dioxide emissions – is inseparable from adaptation, because adaptation alone is not feasible. ‘The focus absolutely has to be on mitigation,’ Norman says, ‘because we are not going to be able to survive in a four-degree world, so far as I can tell’.
And yet, Minister Guy’s 111-page discussion paper Melbourne – let’s talk about the future includes the word ‘climate’ only four times. It refers vaguely to ‘a changing climate’, but not to climate change. This document will feed into the new metropolitan planning strategy.
‘In Victoria, climate change is missing in action,’ Norman says. ‘Whatever your views are, the solution is not to sweep it under the carpet. We have to deal with it, and we have to plan for it.’
Good planning, she adds, requires transparency and accountability, but also, a link to budgets. Given the seriousness of the issue – one where many lives are at stake, here and now – a good adaptation plan will include specific measures, costings and timelines. It will set about strengthening natural barriers, investing intelligently in engineered systems, buying back the land most at risk, and educating citizens to deal with some risks themselves.
For citizens and governments alike, mitigating global warming – reducing carbon dioxide emissions – is inseparable from adaptation, because adaptation alone is not feasible. ‘The focus absolutely has to be on mitigation,’ Norman says, ‘because we are not going to be able to survive in a four-degree world, so far as I can tell’.
It will focus on measures that mitigate climate change while also adapting: low-energy retrofits for low-income households; expanded public transport for the outer suburbs; more shade and open spaces to reduce the heat trapped in our city.
It will steer away from maladaptations, such as desalination plants and the spread of air conditioning, which give temporary comfort at the cost of future pain. And it will do these things immediately.
If only we could rely on the Minister’s common sense.
Poor planning increases flooding potential
On the night of February 4, 2011, the forecast second wave of thunderstorms passed by Melbourne. The floodwaters receded before they reached the Richardsons’ home. While thousands of other residents weren’t so lucky, the full coincidence of events, as Norman puts it, did not coincide – this time.
Even so, the storm resulted in insurance claims of $384 million across the city. This year, after another summer of flooding and extreme weather, insurers have hiked their Australian premiums, driven by higher costs for reinsurance. Last week, the Age reported ‘some residents of Frankston, bordering Carrum Swamp to the east, have been asked to pay at least $5000 more for flood coverage’.
Elwood was built on the Southern Swamp. The construction of the canal began in 1889, but before long, the developers’ dreams of a Venetian waterway had been replaced by a muddy, smelly ‘plague canal’.
If the tide is coming in, a rush of water has no place to go. The land is low-lying – vulnerable to sea-level rise, storm surges and flash flooding.
It is also vulnerable to infill development and poor planning. ‘In the past when it has flooded, the catchment has been fairly permeable,’ Richardson says. ‘Now as more and more houses are bowled over and flats and apartments put on them, that is decreasing the permeability. And that only increases the potential for flooding.’
Community closeness a weapon to withstand climate change
On the night of the floods, once his wife and daughters had evacuated, Richardson went out into the street. He checked on his neighbour Pat, who is in her eighties. ‘It’s a reasonably tight-knit community – we run street parties and stuff like that – which is really good because we knew who was here and who might need some help,’ he says.
The next day, he went door-to-door and handed out information on flood recovery. A few weeks later, he and his neighbours held a barbecue for people from surrounding streets. In the months that followed, residents established the Elwood Floods Action Group. The members meet once a month at the St Kilda RSL. They held a large community forum and attend local fetes. The group’s website includes local history and safety information, as well as a compilation of citizens’ suggestions for flood mitigation. There is a map with projections of the flooding risk associated with sea level rise and storm surges.
As the heat wore on, people knocked on each other’s doors. In Englewood, older people were apprehensive about leaving home.
If our governments were to take climate adaptation seriously, this is the kind of neighbourhood they would be encouraging. American sociologist Eric Klinenberg studied the impacts of the 1995 heat wave in Chicago – the natural disaster that has killed the most people in the country’s history. In a recent article for the New Yorker, he described Englewood and Auburn Gresham, adjacent suburbs on the ‘hyper-segregated South Side of Chicago’. Both had similar proportions of elderly residents and high rates of poverty, crime and unemployment. But during the heat wave Englewood had one of the highest death rates, and Auburn Gresham, one of the lowest.
Auburn Gresham, it turned out, was the kind of place where ‘residents walked to diners and grocery stores. They knew their neighbours. They participated in block clubs and church groups.’ As the heat wore on, people knocked on each other’s doors. In Englewood, older people were apprehensive about leaving home.
‘During the severe heat waves that are likely to hit Chicago and other cities in the near future,’ Klinenberg said, ‘living in a neighbourhood like Auburn Gresham is the rough equivalent of having a working air-conditioner in every room.’
Richardson says many Elwood locals have been calling for new infrastructure investment, to cope with more intense deluges. ‘That’s all well and good for the long term. But what happens if it floods again tomorrow?’
We are already experiencing weather extremes more often, and on a warming planet, they will only get worse. Left alone, this is the future of Melbourne. If our urban planning system does anything at all, it should be doing something about this.
‘We’re looking at a completely new climate paradigm,’ Richardson says. ‘We used to seriously flood here once every 25 years. If that’s changing, what does that mean for people?’